Category Archives: Democracy

Summers Time

Business, Debt, Democracy, Economy, Federal Reserve Bank, Political Economy, Uncategorized

LAWRENCE SUMMERS, director of the White House’s National Economic Politburo, says “[m]istakes on Wall Street in the mortgage area led to the subprime bubble that led to houses appreciating, that led to the situation where millions of people got loans that they were no longer able to service and faced foreclosure.”

Credit errors made on Wall Street brought financial institutions to the brink of insolvency that left no choice but to commit taxpayer funds.

Summers has the podium and the power. He does not have to be honest about the exuberance on Wall Street being part of a creative response to crippling legislation. He could come clean, but he does not have to.

And if he wishes to remain in office, he dare not admit to the force that propels the banks and the bandits in office. In the words of Bob Higgs:

“[T]he American people have little interest in liberty. Instead, they want the impossible: home ownership for those who cannot afford homes, credit for those who are not creditworthy, old-age pensions for those who have not saved, health care for those who make no attempt to keep themselves healthy, and college educations for those who lack the wit to finish high school. Moreover, they want it now, and they want somebody else to pay for it.” …

Update IV: Another Democratic (Or Demonic) Uprising

Christianity, Democracy, Ethics, Objectivism, Pseudoscience, Psychology & Pop-Psychology, Reason, Sex

In 2008, on this space, I inquired naively, “Ever wonder why the epidemic of allegations that has almost bankrupted the Catholic Church has not caught on in the UK and Europe? I venture that this is because the pop-psychology that undergirds the allegations and the attendant class-action law suits that ensued is American through-and-through.

But, two years hence, Americans can boast of one lucrative EXport, or shall I say SEXport!? The repressed memory mythology, and my priest-did-me syndrome have been adrift at sea, but have finally dropped an anchor across the pond.

My favorite Pope, Benedict XVI, has stood up admirably against the exported $2 billion lawsuit industry:

**Data records, as found in the file:**
=====
[1]
Computed, not measured: a geometry-optimized BiAs2Se structure at the GGA-PBE level of DFT.

CIF file:
```
data_BiAs2Se
_chemical_formula_sum 'Bi4 As8 Se4'
_symmetry_space_group_name_H-M 'I -4 2 d'
_symmetry_Int_Tables_number 122
_symmetry_space_group_name_Hall 'I -4 2bw'
_cell_length_a 5.678
_cell_length_b 5.678
_cell_length_c 15.333
_cell_angle_alpha 90.00
_cell_angle_beta 90.00
_cell_angle_gamma 90.00
loop_
_atom_site_label
_atom_site_fract_x
_atom_site_fract_y
_atom_site_fract_z
Bi1 0.000 0.000 0.000
As1 0.204 0.250 0.625
Se1 0.000 0.000 0.500
```

* electronic total energy: -62.94 eV per cell
* energy above the lowest structure with this stoichiometry: 0.00 kcal/mol of atoms

=====

[2]
Computed, not measured: a geometry-optimized Bi3AsSe structure at the GGA-PBE level of DFT.

CIF file:
```
data_Bi3AsSe
_chemical_formula_sum 'Bi3 As1 Se1'
_symmetry_space_group_name_H-M 'P m -3 m'
_symmetry_Int_Tables_number 221
_symmetry_space_group_name_Hall '-P 4 2 3'
_cell_length_a 5.549
_cell_length_b 5.549
_cell_length_c 5.549
_cell_angle_alpha 90.00
_cell_angle_beta 90.00
_cell_angle_gamma 90.00
loop_
_atom_site_label
_atom_site_fract_x
_atom_site_fract_y
_atom_site_fract_z
Bi1 0.000 0.000 0.500
As1 0.000 0.000 0.000
Se1 0.500 0.500 0.500
```

* electronic total energy: -16.53 eV per cell
* energy above the lowest structure with this stoichiometry: 0.00 kcal/mol of atoms

=====

[3]
Computed, not measured: a geometry-optimized BiAsSe structure at the GGA-PBE level of DFT.

CIF file:
```
data_BiAsSe
_chemical_formula_sum 'Bi4 As4 Se4'
_symmetry_space_group_name_H-M 'P n m a'
_symmetry_Int_Tables_number 62
_cell_length_a 8.083
_cell_length_b 3.932
_cell_length_c 10.391
_cell_angle_alpha 90.00
_cell_angle_beta 90.00
_cell_angle_gamma 90.00
loop_
_symmetry_equiv_pos_as_xyz
'x,y,z'
'-x,-y,-z'
'-x+1/2,-y,z+1/2'
'x+1/2,y,-z+1/2'
'x+1/2,-y+1/2,-z+1/2'
'-x+1/2,y+1/2,z+1/2'
'-x,y+1/2,-z'
'x,-y+1/2,z'
loop_
_atom_site_label
_atom_site_fract_x
_atom_site_fract_y
_atom_site_fract_z
Bi1 0.138 0.250 0.217
As1 0.100 0.250 0.490
Se1 0.099 0.250 0.848
```

* electronic total energy: -49.85 eV per cell
* energy above the lowest structure with this stoichiometry: 0.00 kcal/mol of atoms

=====

[4]
Computed, not measured: a geometry-optimized BiAs3Se structure at the GGA-PBE level of DFT.

CIF file:
```
data_BiAs3Se
_chemical_formula_sum 'Bi1 As3 Se1'
_symmetry_space_group_name_H-M 'P m -3 m'
_symmetry_Int_Tables_number 221
_symmetry_space_group_name_Hall '-P 4 2 3'
_cell_length_a 5.430
_cell_length_b 5.430
_cell_length_c 5.430
_cell_angle_alpha 90.00
_cell_angle_beta 90.00
_cell_angle_gamma 90.00
loop_
_atom_site_label
_atom_site_fract_x
_atom_site_fract_y
_atom_site_fract_z
Bi1 0.000 0.000 0.000
As1 0.000 0.000 0.500
Se1 0.500 0.500 0.500
```

* electronic total energy: -14.87 eV per cell

=====

Results for formation energy without anion corrections: 0.232, 0.649, -0.149, 1.289 (in eV/atom, following the order of the records).
=====

“Christ guides us towards goodness and does not let us be disarmed by ingratitude.” He also spoke of how man can sometimes “fall to the lowest, vulgar levels” and “sink into the swamp of sin and dishonesty”.

The Pope represents an aristocracy of the mind. The Catholic Church, in its wisdom, has put in place a much-needed hierarchy for the worshiping mass of humanity.

Against this, the religion of Democracy preaches the rule of the mob and the masses—in particular instituting the lowest common denominator in all spheres of life, from morals to aesthetics. The Catholic Church is among the last historical institutions where the masses are ministered to by their betters (mostly). The impetus and instinct to bleed it dry is a manifestation of a democratic—or is it demonic?—uprising. It is driven by those who’ve, in the Pope’s words, “fallen to the lowest, vulgar levels … into the swamp of sin and dishonesty.”

Reread “SEX, GOD & GREED” by Daniel Lyons for a dissection of the veracity of the sexual abuse claims against the Church.

Update I: The “Another” of the post’s title alludes to the health care revolution, ushered in by the Obama coup.

Update II (March 30): What did I miss? Was there a priestly ritual murder? Plain murder? Boer murder? Evidence beyond hearsay of all the rest? You’d thinks so, wouldn’t you, at least from Schmidt’s hyperbole hereunder. I suggest, as I already have, the reading of Daniel Lyons’ “SEX, GOD & GREED.”

Update III: In reply to Hugo: Thanks for your always provocative posts. Still, it’s baffling to see an Objectivist poo-poo standards of evidence and due process—class action suits being but one legal emblem of the abuse of the principle of a case-by case adjudication.
Also perplexing is it to encounter an Objectivist, which I know Hugo to be, blame genocide in Rwanda on anyone other than the barbarians who, with malice aforethought, took machetes to their innocent neighbors (I was just revisiting that for my book).

Update IV (March 31): A discussion on Hardball with Pat Buchanan, a Catholic, of cover-ups and papal culpability. No discussion of the veracity and standards of the evidence, though.

In Memoriam Anika Smit

Crime, Democracy, Race, Racism, South-Africa

As you’ve gleaned by now, my book about South Africa is not an insta-book. By the time Into the Cannibal’s Pot: Lessons For America From Post-Apartheid South Africa is completed (almost there) it will have taken three years to write. The other day, I had to make a sad addition to the book:

When he bid his bonny (and only) child goodbye before leaving the home they shared in north Pretoria, Johan Smit did not imagine that he’d never again see Anika alive. On Wednesday, March 12, 2010, seventeen-year-old Anika Smit was raped, her throat slashed sixteen times and her hands hacked off. Naked and mutilated is how her father found her on returning that day from work.

In South Africa the preying majority is killing off the powerless minority. In America, the demos is drunk on the power of the state to assist it in pilfering from its betters.


Police State Shaking In Its Goose-Stepping Boots

The following is a GGA-PBE calculation of a relaxed NaMgHSe crystal, from the Alexandria database.

Computed properties:
Total DFT energy (no corrections) in eV/cell: -25.7

Cell: 4.1085 4.1085 11.7342 Å, 79.92 79.92 60.00°
With the nearest neighbours (Å) after each atom.
Sites, in units of the cell vectors:
Na1 0.0000 0.0000 0.0000  6 Se 3.07
Na2 0.5000 0.5000 0.5000  6 H 2.55
Mg1 0.7530 0.7530 0.7410  1 H 1.82
Mg2 0.2470 0.2470 0.2590  1 H 1.82
H1 0.1941 0.1941 0.4176  1 Mg 1.82
H2 0.8059 0.8059 0.5824  1 Mg 1.82
Se1 0.6103 0.6103 0.1691  3 Mg 2.59
Se2 0.3897 0.3897 0.8309  3 Mg 2.59

Democracy, Democrats, Fascism, Law, Terrorism, The State

It’s the leading story on just about every cable network. “House Democrats are concerned about their security due to increased threats since Sunday’s vote to pass the health care bill.”

A grim-faced House Majority Leader Steny Hoyer held a news conference, where he bemoaned that “a significant number, meaning over 10” Democrats “had reported either threats, vandalism or other incidents. Capitol Police officials have briefed House Democrats on reporting suspicious or threatening activity and taking precautions to avoid ‘subjecting themselves or their families to physical harm,’ said Hoyer, D-Maryland.”

Hoyer was flanked by a chap called Jim Clyburn who mouthed cliches about the lessons of history, and threw the kitchen sink of civil rights, holocaust, homophobia in for good measure.

Most other news outlets ran with this story, against a backdrop of besieged Democrats speaking about the need for security details to guard their homes and families and wallowing in horror stories about a handful of disenfranchised voters who seem to have lost faith in the vaunted American mobocracy. (Your wishes to be left alone are ignored in a democracy?! You don’t say.)

Good luck to you in trying to get a security detail should your family come under threat or should your boyfriend threaten to kill you. The sponger class has no perception of how rarefied and cloistered is its worthless, parasitic existence.

How ludicrous and contemptuous for the political class (and its media sycophants), backed as it is by the tanks that took out tots at WACO, to put on this show—aimed at depicting a tiny number of angry voters who dared to step out of line as Timothy McVeighs in the making.